-- What to do --
Could you filter the lines further below: keep the lines with the word "basis"?

-- Excerpt --
+++
{"formula": "C4H4O2S2", "method": "the ωB97M-V functional and the def2-TZVPD basis", "symbols": ["C", "C", "C", "C", "H", "H", "H", "H", "O", "O", "S", "S"], "positions_angstrom": [[1.38, 0.28, 0.10], [-0.07, -0.12, 0.40], [-0.68, -1.35, 0.09], [-2.62, -0.10, 0.07], [2.47, 1.81, -0.30], [-0.26, -2.41, -0.25], [-2.97, -0.25, 1.16], [-3.48, -0.02, -0.69], [1.46, 1.58, 0.04], [-2.04, -1.31, -0.16], [2.63, -0.73, -0.07], [-1.34, 1.13, -0.11]], "e_tot_ha": -1101.58889, "homo_energy_ev": -8.27, "lumo_ev": -0.269, "largest_force_ev_per_a": 4.24, "smiles": "OC(=S)C1=COCS1", "gap_ev": 8.0}

=====

{"formula": "C26H35BN10Ti", "method": "the ωB97M-V functional and the def2-TZVPD basis", "symbols": ["Ti", "C", "C", "C", "C", "N", "N", "B", "N", "C", "C", "C", "C", "N", "N", "C", "C", "C", "C", "N", "N", "C", "C", "C", "C", "N", "H", "H", "H", "H", "H", "H", "H", "H", "H", "H", "H", "H", "H", "H", "H", "H", "H", "H", "H", "H", "C", "N", "C", "C", "N", "C", "H", "H", "H", "H", "H", "H", "C", "C", "C", "C", "C", "C", "H", "H", "H", "H", "H", "H", "H", "H", "H"], "positions_angstrom": [[0.06, -0.40, -0.22], [1.46, 0.80, -3.31], [1.33, 1.75, -2.15], [1.28, 3.16, -2.12], [1.18, 3.53, -0.80], [1.17, 2.39, -0.03], [1.13, 1.29, -0.94], [0.31, 2.32, 1.22], [-1.14, 2.04, 0.90], [-2.35, 2.43, 1.42], [-3.41, 1.86, 0.65], [-2.77, 1.12, -0.38], [-3.27, 0.47, -1.65], [-1.45, 1.18, -0.24], [0.89, 1.10, 1.97], [1.46, 1.09, 3.20], [1.60, -0.23, 3.68], [0.95, -1.03, 2.69], [0.85, -2.53, 2.62], [0.50, -0.22, 1.69], [0.42, 3.59, 2.00], [1.53, 4.45, 2.09], [1.36, 5.26, 3.21], [0.13, 4.77, 3.79], [-0.56, 5.19, 5.03], [-0.36, 3.79, 3.07], [1.75, 1.39, -4.20], [0.54, 0.22, -3.40], [2.27, 0.12, -3.05], [1.27, 3.88, -2.97], [1.16, 4.47, -0.34], [-2.38, 3.07, 2.33], [-4.49, 1.89, 0.81], [-2.56, 0.69, -2.47], [-4.26, 0.81, -1.90], [-3.36, -0.61, -1.62], [1.83, 1.98, 3.71], [1.81, -0.62, 4.67], [1.12, -2.92, 1.59], [-0.20, -2.82, 2.88], [1.48, -2.93, 3.41], [2.36, 4.32, 1.39], [1.99, 6.04, 3.61], [-0.75, 6.28, 4.96], [0.15, 5.12, 5.84], [-1.48, 4.59, 5.25], [-3.91, -3.73, 1.26], [-2.94, -3.30, 0.31], [-2.98, -3.44, -1.11], [-2.05, -2.56, -1.56], [-1.52, -1.83, -0.52], [-2.12, -2.27, 0.57], [-3.25, -4.24, 2.01], [-4.56, -4.53, 0.85], [-4.47, -2.90, 1.69], [-3.42, -4.28, -1.58], [-1.72, -2.41, -2.57], [-2.01, -1.92, 1.56], [3.75, -3.06, -2.97], [2.20, -3.00, -3.12], [1.59, -4.44, -2.95], [1.85, -2.34, -4.50], [1.79, -2.10, -2.11], [1.26, -1.44, -1.21], [4.07, -3.86, -3.59], [3.98, -3.28, -1.95], [4.30, -2.15, -3.23], [1.92, -5.17, -3.75], [0.50, -4.35, -2.91], [1.95, -4.90, -2.04], [2.14, -3.06, -5.28], [2.34, -1.37, -4.62], [0.79, -2.22, -4.58]], "e_tot_ha": -2432.66303, "homo_energy_ev": [-17.42, -17.42], "lumo_ev": [-9.915, -12.574], "multiplicity": 2, "largest_force_ev_per_a": 4.15, "charge": 3, "gap_ev": [7.5, 4.8]}

=====
+++

-- Response --
{"formula": "C4H4O2S2", "method": "the ωB97M-V functional and the def2-TZVPD basis", "symbols": ["C", "C", "C", "C", "H", "H", "H", "H", "O", "O", "S", "S"], "positions_angstrom": [[1.38, 0.28, 0.10], [-0.07, -0.12, 0.40], [-0.68, -1.35, 0.09], [-2.62, -0.10, 0.07], [2.47, 1.81, -0.30], [-0.26, -2.41, -0.25], [-2.97, -0.25, 1.16], [-3.48, -0.02, -0.69], [1.46, 1.58, 0.04], [-2.04, -1.31, -0.16], [2.63, -0.73, -0.07], [-1.34, 1.13, -0.11]], "e_tot_ha": -1101.58889, "homo_energy_ev": -8.27, "lumo_ev": -0.269, "largest_force_ev_per_a": 4.24, "smiles": "OC(=S)C1=COCS1", "gap_ev": 8.0}
{"formula": "C26H35BN10Ti", "method": "the ωB97M-V functional and the def2-TZVPD basis", "symbols": ["Ti", "C", "C", "C", "C", "N", "N", "B", "N", "C", "C", "C", "C", "N", "N", "C", "C", "C", "C", "N", "N", "C", "C", "C", "C", "N", "H", "H", "H", "H", "H", "H", "H", "H", "H", "H", "H", "H", "H", "H", "H", "H", "H", "H", "H", "H", "C", "N", "C", "C", "N", "C", "H", "H", "H", "H", "H", "H", "C", "C", "C", "C", "C", "C", "H", "H", "H", "H", "H", "H", "H", "H", "H"], "positions_angstrom": [[0.06, -0.40, -0.22], [1.46, 0.80, -3.31], [1.33, 1.75, -2.15], [1.28, 3.16, -2.12], [1.18, 3.53, -0.80], [1.17, 2.39, -0.03], [1.13, 1.29, -0.94], [0.31, 2.32, 1.22], [-1.14, 2.04, 0.90], [-2.35, 2.43, 1.42], [-3.41, 1.86, 0.65], [-2.77, 1.12, -0.38], [-3.27, 0.47, -1.65], [-1.45, 1.18, -0.24], [0.89, 1.10, 1.97], [1.46, 1.09, 3.20], [1.60, -0.23, 3.68], [0.95, -1.03, 2.69], [0.85, -2.53, 2.62], [0.50, -0.22, 1.69], [0.42, 3.59, 2.00], [1.53, 4.45, 2.09], [1.36, 5.26, 3.21], [0.13, 4.77, 3.79], [-0.56, 5.19, 5.03], [-0.36, 3.79, 3.07], [1.75, 1.39, -4.20], [0.54, 0.22, -3.40], [2.27, 0.12, -3.05], [1.27, 3.88, -2.97], [1.16, 4.47, -0.34], [-2.38, 3.07, 2.33], [-4.49, 1.89, 0.81], [-2.56, 0.69, -2.47], [-4.26, 0.81, -1.90], [-3.36, -0.61, -1.62], [1.83, 1.98, 3.71], [1.81, -0.62, 4.67], [1.12, -2.92, 1.59], [-0.20, -2.82, 2.88], [1.48, -2.93, 3.41], [2.36, 4.32, 1.39], [1.99, 6.04, 3.61], [-0.75, 6.28, 4.96], [0.15, 5.12, 5.84], [-1.48, 4.59, 5.25], [-3.91, -3.73, 1.26], [-2.94, -3.30, 0.31], [-2.98, -3.44, -1.11], [-2.05, -2.56, -1.56], [-1.52, -1.83, -0.52], [-2.12, -2.27, 0.57], [-3.25, -4.24, 2.01], [-4.56, -4.53, 0.85], [-4.47, -2.90, 1.69], [-3.42, -4.28, -1.58], [-1.72, -2.41, -2.57], [-2.01, -1.92, 1.56], [3.75, -3.06, -2.97], [2.20, -3.00, -3.12], [1.59, -4.44, -2.95], [1.85, -2.34, -4.50], [1.79, -2.10, -2.11], [1.26, -1.44, -1.21], [4.07, -3.86, -3.59], [3.98, -3.28, -1.95], [4.30, -2.15, -3.23], [1.92, -5.17, -3.75], [0.50, -4.35, -2.91], [1.95, -4.90, -2.04], [2.14, -3.06, -5.28], [2.34, -1.37, -4.62], [0.79, -2.22, -4.58]], "e_tot_ha": -2432.66303, "homo_energy_ev": [-17.42, -17.42], "lumo_ev": [-9.915, -12.574], "multiplicity": 2, "largest_force_ev_per_a": 4.15, "charge": 3, "gap_ev": [7.5, 4.8]}